Take this Blog and shove it

Monday, January 30, 2006

Huge Announcement!!!!

Listen up everybody!!! I have an announcement to make!!!!

Here I go.....

Balloons are neat.

Also, have you ever noticed that squirrels are kinda cute? But you just wish they would calm down for once and not be so spastic? Why are there no squirrels that just chill and hang out?

In World News: What the heck is up with Canada? I mean can someone explain this to me?

In Planetary News: I've been noticing Mercury has been hanging out real close with the Sun lately, like they are best buds or something. But we've known the Sun longer than Mercury haven't we? What does Mercury thinks it's trying to pull? Back off dude.

Saturday, January 28, 2006

Grove Park Inn

Well here are the long awaited pictures from the GPI!! Wait, I don't have a digital camera. Nevermind.

Nueva and JBH were super nice and gracious.

Everyone else were pretty much A-holes.

Okay, maybe that's not true. Everyone was extremely friendly, but the Macke's impressed and they could even find their way into my Friend Rankings some day. Though Paco and Beuregard are pretty tough to beat out.

Thanks to all!

And who won that tourney? I was robbed....
Actually I don't know why I'm asking, everyone I knew had been eliminated by the time I left!

Friday, January 27, 2006

Drunken blog

This is my first ever drunken blog. Let's see what I write about.....

I got home a little bit ago and I'm kinda loopy. But look, my spelling and grammar is still impeccable!!! Did I spell that word okay? If I didn't, I wouldn't have known how to spell it sober either so who cares....

I almost pulled off the upset of the night in the pool tournament. I came within a shot of knocking all my balls in, and I was totally drunk while doing it! And I've only played a handful of times in my life.

Okay, now, for this part of my blog, I'm going to tell you all exactly what I think of the following people....

dvdguy: big stupid asshead.

pickles: freakin' too many of you eskimos taking our jobs

dotcom: doesnt get drunk after 6 or more drinks of wine, I'm impressed.

anna: I have no idea, I think the same of you drunk as I do sober

Okay, moving on.......what else should drunk Chad post about?

Hmmmmmm, I like conversation hearts. But I never read the comments. I bet most people do, but I just look at the flavor and then munch away. I used to look at the comments when I was a little kid, but no more. Just gets in the way of me munchin.

Okay, why don't I end this post before it gets out of hand.....

Wednesday, January 25, 2006


If I were to adopt a nickname, what would you recommend?

Tuesday, January 24, 2006

Just Stop

The person this message is intended for knows who they are and all I have to say is, just stop it.

Cut it out. Just stop.

Monday, January 23, 2006

Meow Mix

Why do cats get a food so good, they get to ask for it by name? Why can't they make some Chad Mix? (have to use the real name here, denirogator mix doesn't have the same ring to it).

If they would just make this product, then I could just go up to people and say...."..chad...chad....chad". And then hopefully they'd give me some Chad Mix.
And I would purrr.

This is the way the world should work. If you agree with me, just elect me your new King or Leader and it can be so! All of your wildest dreams will come true...

Friday, January 20, 2006

The New Kid in Town.....

Hey everybody, my little actress friend Jen has made herself, as Lesliedotcom would say, "A BigBoy blog" (or BigGirl).
The address is: http://jenstien.blogspot.com/

So give her a visit!

Go Jen!!


BigBoy blog: A blog that will be seen by no more than 3-4 people.

(When she wants to open things up to about 45 million other people, she knows where to go.)


FOUR JOBS YOU'VE HAD IN YOUR LIFE:(not in any order)
1. Mayo Clinic Jacksonville
2. ABC 25 WJXX
3. United Artists Theatres
4. Movie World

1. Die Hard
2. A Christmas Story
3. Wet Hot American Summer
4. Ferris Bueller's Day off/National Lampoon's Vacation

(Honerable mention: Glory, midnight madness, cannonball run, dances with wolves)

1. The Office
2. Curb your Enthusiasm
3. Survivor
4. Beauty and the Geek

1. Bahamas
2. Peru
3. Las Vegas
4. Illinois/North Carolina

1. gatorsports.com
2. netflix
3. myspace.com
4. lesliedotcom/thewatercooler

1. Japanese steak and chicken
2. Mexican enchiladas
3. Corn
4. Filet Mignon

Thursday, January 19, 2006

New Friend Rankings are out!!!!!!!!!!!!!

Alright, that time again kids. You know the drill. Some of you have been very good friends and you will see you have been rewarded in the rankings. Others have dropped in the rankings because they are complete douchbags. Again, I am not responsible for your asinine behavior and can do nothing about this.

1. Trent

2. Guinevierre

3. Atticus

4. Laverne

5. Bobby

6. Killroy

7. Horatio, (sometimes we call him Horatio Hornblower, heehee)

8. Paco

9. Cyrus

10. Guadulupe

Honerable mention in alphabetical order: Anna, Brandy, Brian (yes, that one), Christie, Chuck, David, Jen, Jessica, Katie, Keith, Laura, Leslie, Mandy, Melissa, Patrick, Paul, Peter, Scott, Steve, Stephen, Schmerber and Xander.

Quote from DVDGUY.........

"I hate people. And I'm not overstating that."

Wednesday, January 18, 2006

The best show of all time

I ask you, has there ever been a more pefectly conceived, written and acted show in the history of television than "Blossom". Try to think of one, right now. You can't do it can you? CAN YOU?!!!

I rest my case.

Monday, January 16, 2006

I've been exposed

Your Birthdate: January 6

You tend to be a the rock in relationships - people depend on you.
Thoughtful and caring, you often put others needs first.
You aren't content to help those you know... you want to give to the world.
An idealist, you strive for positive change and dream about how much better things could be.

Your strength: Your intuition

Your weakness: You put yourself last

Your power color: Rose

Your power symbol: Cloud

Your power month: June

Friday, January 13, 2006

Just to set the record straight......

Okay, once again I've been inundated with calls, emails, letters and faxes so let me just set the record straight once and for all....

I am NOT a god. I am mortal.

I am not all-knowing, just very close to it (I can understand the confusion on that one).

I was not on VH1's sexiest bodies list, because I declined to be a part of the show. I have a mind, I am not a piece of meat you know...

I am not in "Mensa", because, quite frankly, have you seen those people?

I am not a re-incarnation of James Dean or Clark Cable. As far as I know.

And I am not the most caring, sweet and wonderful guy on the planet. I'm sure I'm in the top 5, but number one? Come on, I have a little humility folks, stop embarrasing me!

Wednesday, January 11, 2006

Marching to the beat of a different drum

Saw "March of the Penguins" the other day. If you ever thought your life was tough, watch this flick. These penguins life sucks so bad...yet they are practically by themself in the south pole and probably don't even realize it. They probably think, "Oh well, all animals go through this unending torment and never have any time to relax or have fun."

Okay, maybe I'm giving the penguins too much credit for philosophizing, but you know what I mean.

These little guys march like 70 miles or more...really slowly, to their breeding ground. Then they pick a mate and make sweet love. Then, the female lays an egg, gives it to the father to sit on and keep warm, and leaves. The females march back 70 miles to go eat food. Then, they march back, to see their penguin baby for the first time. They somehow feed the penguin baby from the food they ate, like they regurgitate some in their mouth or something disgusting like that.

Now, while the males were waiting for the females to return, they are just sitting in horriblly freezing weather, winds blowing at them...and not eating. They all try to huddle as best they can to protect themselves. The males go about 4 months without eating. Now the females take the baby, and the males march 70 miles to go get food.

Meanwhile, the babies are learning to walk around and are very cute, but they sometimes get attacked by big ugly vulture type predators, while the adults stand there like, "oh jeez, well, nothing I can do about this....I think I'll waddle over here..."

The males march back 70 miles, reunite, have a family photo moment, and then the parents take off again and leave all the kids alone. The kids eventually leave too once they figure things out.

One guilty thing....there are a couple funny moments, like when a Penguin is walking and slips and busts on his ass and then tries to get up like, "I meant to do that...". Also, at one point they show the baby penguins sometimes eat a little TOO much regurgitation, and end up like Violot Beuregard from Willy Wonka turned into a blueberry. They look like they can barely move and are going, "oh dude, maybe I should practice moderation when I eat...I'm really letting myself go".

Moral of the story: If there is such a thing as reincarnation, and you emerge from an egg and realize you are now a penguin, you are screwed royally. I would just be like, "Oh hell no, I am not a penguin!! I am not going through that bullshit". And then I would end it all and commit penguinside.

Monday, January 09, 2006

Now Come On....

Saw this today:

"Of the 10 TV shows with the most product placements, seven were reality series. Topping the list was NBC's The Contender, which recorded 7,514 "brand occurrences" in just 15 telecasts -- or more than 500 per telecast."

Okay, is it possible this is somehow incorrect? There are about 48 minutes in an hour show minus the commercials. Doing the math, this would work out to be almost 10 and a half product placements PER MINUTE.

I saw many episodes of "The Contender" and I don't recall something like this:

"I think you need to box Joey, hand me that Coke, because Joey can be beat, he puts on his Nike shoes one foot at a time just like you, and when he arrives in his Dodge Stratus and looks at his Timex watch, he'll know that it's time to get some BC headache powder, cause his head is gonna get a pounding from your pugilistic skills. Now lets go head to the border and grab a gordita and a refreshing Mountain Dew before we make our way to the Mirage Casino for the bout inside Verizon Wireless stadium."

Sunday, January 08, 2006


Alright listen up, a lot of you saps have been writing, calling and faxing for me to bestow upon you more pearls of wisdom. Well, FINE. If it will shut you up for at least another day, I'll oblige with a few.....

If you are parched, try finding yourself a beverage. You won't believe the positive benefits that will occur.

If you are practacing for Easter with Denirogator, and you are hiding easter eggs for Denirogator to find, you better hide those mutherfuckers real good, because I'm gonna find every last fucking one of them. I don't play around okay? Do NOT waste my time and hide a fucking egg sitting on a table or in the middle of the couch or any of that bullshit. Make like you are fuckin' david copperfield and make those little bastards disappear. If you can't give me a challenge, then I'm not going to practice for Easter with you anymore, and then everyone loses, alright?

And finally, if you like having pretty trees and plants and flowers and the like around to make the world a beautiful place, keep exhaling that carbion dioxide, because they crave that shit like crack. I'm not kidding. They can't get enough of it.

Now if you'll excuse me, I got some not dying to attend to.....

Saturday, January 07, 2006

Top 10 favorite songs

It's almost impossible to name your 10 favorite songs. There are always songs at any given moment that you are really into and there are thousands of songs we all love. But, I thought I would just challenge myself to come up with 10, if by the old cliche', I was stuck on a desert island and could only choose 10.

1. If you could read my mind (Gordon Lightfoot)

2. Longer (Dan Folgerberg)

3. Yesterday (The Beatles)

4. Baba O'riley (The Who)

5. Layla (Eric Clapton)

6. Peaceful, Easy Feeling (The Eagles)

7. Cigarros (System of a Down) (or a good one from Rob Zombie would do)

8. Honesty (Billy Joel)

9. Reflections of my life (Marmalade)

10 Maybe (the musical "Annie")

Danny's song, Suspicious Minds could also easily be substituted in this top ten.

This list doesn't even scratch the surface of songs and bands I adore, such as The Doors, led zeppelin, elton john, david bowie, the stones, tenacious D, etc etc. But I would probably be pretty happy listening to these 10 every day of my life if I had to.

Thursday, January 05, 2006

Me and you are friends, sucka!

Alright everybody, I have a proclamation to make. If I am a friend of yours, I have just become your best friend. From here on out, when somebody asks you who your best friend is, you will reply: "Why, Denirogator is!" or my actual birth name. This decision is final and just accept it and move on. I don't want to hear any whining.

If we are not friends, I just became a friend of yours, so suck on that.

(Of course, if you are a co-worker of mine, none of the above applies)

Wednesday, January 04, 2006

Guilty Pleasures

Everyone has some guilty pleasures. Things they adore that might not be the coolest thing in the world. I'll share a few of mine...

Soft Rock: I love all music, even pretty ballads that I would not want to be caught blaring from my truck with the windows down. If the windows are down....System of a Down, Bloodhoud gang, Rob Zombie, CAKE or Black-eyed peas will do.....

Sweets: So I still have the same sweet tooth I had when I was a kid. I'm a big kid now and I can buy all the candy I want without having to ask anyone's permission. So there.

Nostaliga: Particularly holiday specials we watched as kids. I freakin love "Emmet Otter's Jugband Christmas" to death, along with just about any Rankin/Bass special such as "Rudolph", etc. Back when we were young, we had no cares in the world. No financial or job worries, no relationship problems, no stress, no dvdguy or anything like that.

So, how about you, care to share any guilty pleasures of yours?

The Great and All-Powerful Lesliedotcom

Well today is lesliedotcom's birthday and I think I may have given her the best present she could hope for: The satisfaction of making me look foolish. And I know she finds that immensely satisfying because she practically glows and beams with joy, hidden under a non-chalant attitude.

I got this little IQ puzzle in my Christmas stocking where you have to seperate these two intertwined hook like metal pieces. I and a friend could not make heads or tails of it. I was fed up with it. So knowing that dotcom has tested with a high IQ, I threw it at her and told her if she could do it I'd forever proclaim her great and all powerful.

She had it seperated in under a minute and a half. She tried to seem ho-hum about it but could barely contain a Chessire Cat-like grin afterwards.

# Data records, kept here for reference
........
Computed, not measured: a geometry-optimized Na2Sc2P2SO12 structure at the GGA-PBE level of DFT.

a = 8.921 Å, b = 8.921 Å, c = 22.911 Å
α = 90.14°, β = 89.86°, γ = 119.75°
Sites, in units of the cell vectors:
1 Na 0.996 0.631 0.251
2 Na 0.369 0.004 0.751
3 Na 0.663 0.964 0.585
4 Na 0.036 0.337 0.085
5 Na 0.330 0.297 0.918
6 Na 0.703 0.670 0.418
7 Na 0.013 0.998 0.500
8 Na 0.002 0.987 0.000
9 Na 0.680 0.331 0.834
10 Na 0.669 0.320 0.334
11 Na 0.346 0.665 0.167
12 Na 0.335 0.654 0.667
13 Sc 0.992 0.002 0.351
14 Sc 0.998 0.008 0.851
15 Sc 0.003 0.001 0.649
16 Sc 0.999 0.997 0.149
17 Sc 0.658 0.335 0.684
18 Sc 0.665 0.342 0.184
19 Sc 0.670 0.334 0.982
20 Sc 0.666 0.330 0.482
21 Sc 0.325 0.668 0.018
22 Sc 0.332 0.675 0.518
23 Sc 0.336 0.668 0.315
24 Sc 0.332 0.664 0.815
25 P 0.706 0.709 0.250
26 P 0.000 0.293 0.249
27 P 0.291 0.294 0.750
28 P 0.707 0.000 0.749
29 P 0.372 0.042 0.584
30 P 0.666 0.626 0.582
31 P 0.958 0.628 0.084
32 P 0.374 0.334 0.082
33 P 0.039 0.376 0.917
34 P 0.333 0.960 0.916
35 P 0.624 0.961 0.417
36 P 0.040 0.667 0.416
37 S 0.294 0.003 0.251
38 S 0.997 0.706 0.751
39 S 0.960 0.336 0.584
40 S 0.664 0.040 0.084
41 S 0.627 0.670 0.917
42 S 0.330 0.373 0.417
43 O 0.212 0.027 0.303
44 O 0.819 0.787 0.306
45 O 0.977 0.180 0.303
46 O 0.213 0.181 0.806
47 O 0.973 0.788 0.803
48 O 0.820 0.023 0.803
49 O 0.788 0.974 0.693
50 O 0.178 0.202 0.697
51 O 0.029 0.816 0.698
52 O 0.798 0.822 0.197
53 O 0.026 0.212 0.193
54 O 0.184 0.971 0.198
55 O 0.879 0.360 0.636
56 O 0.486 0.120 0.639
57 O 0.644 0.514 0.636
58 O 0.880 0.514 0.139
59 O 0.640 0.121 0.136
60 O 0.486 0.356 0.136
61 O 0.455 0.307 0.026
62 O 0.845 0.536 0.030
63 O 0.695 0.150 0.031
64 O 0.464 0.155 0.530
65 O 0.693 0.545 0.526
66 O 0.850 0.305 0.531
67 O 0.545 0.693 0.970
68 O 0.153 0.454 0.972
69 O 0.311 0.847 0.969
70 O 0.546 0.847 0.472
71 O 0.307 0.455 0.470
72 O 0.153 0.689 0.469
73 O 0.122 0.640 0.360
74 O 0.511 0.869 0.363
75 O 0.362 0.483 0.365
76 O 0.131 0.489 0.863
77 O 0.360 0.878 0.860
78 O 0.517 0.638 0.865
79 O 0.018 0.829 0.410
80 O 0.804 0.972 0.411
81 O 0.180 0.200 0.410
82 O 0.028 0.196 0.911
83 O 0.171 0.982 0.910
84 O 0.800 0.820 0.910
85 O 0.972 0.175 0.589
86 O 0.192 0.022 0.590
87 O 0.825 0.812 0.589
88 O 0.978 0.808 0.090
89 O 0.825 0.028 0.089
90 O 0.188 0.175 0.089
91 O 0.685 0.162 0.744
92 O 0.471 0.306 0.744
93 O 0.846 0.533 0.744
94 O 0.694 0.529 0.244
95 O 0.838 0.315 0.244
96 O 0.467 0.154 0.244
97 O 0.639 0.508 0.922
98 O 0.858 0.355 0.923
99 O 0.492 0.145 0.922
100 O 0.645 0.142 0.423
101 O 0.492 0.361 0.422
102 O 0.855 0.508 0.422
103 O 0.351 0.495 0.077
104 O 0.137 0.639 0.077
105 O 0.513 0.867 0.077
106 O 0.361 0.863 0.577
107 O 0.505 0.649 0.577
108 O 0.133 0.487 0.577
109 O 0.305 0.841 0.256
110 O 0.525 0.688 0.257
111 O 0.158 0.478 0.256
112 O 0.312 0.475 0.757
113 O 0.159 0.695 0.756
114 O 0.522 0.842 0.756

## Properties
- Energy relative to the elements: -2.9190 eV per atom

***
........

She usually doesn't think I give her any credit, but on this day, I give her full credit and due respect. She accepted the challenge and almost instantly succeeded. I later was able to seperate the things myself a few times, but it took me awhile and right now I almost feel like it was luck, because I have been unable to duplicate it.

For this ONE day you are great and all-powerful miss dotcom, tomorrow the carriage turns back into a pumpkin and you go back to being an uber-dork. Happy Birthday.

Monday, January 02, 2006

I have seen movies

Recent movies I've watched: Cry Wolf, Elephant, Grizzly Man and watched "Clue" and "It's a Wonderful Life" again.
Elephant was certainly odd, cry wolf a standard slasher pic and the older ones great as usual.
Grizzly man is an excellent documentary that chronicals a nutjob that lived with wild grizzly bears for 13 summers before he and his girlfriend were eaten by one. He taped himself during all this time so there was tons of footage to work with. The guy clearly has a screw loose despite his love for animals.
I remember after I watched "Crash", my dad told me he couldn't believe I liked it. I think it was a little too edgy for pop. I saw this weekend on "Ebert and Roeper", Ebert named it the best film of 2005.
They both had King Kong in their top ten. Haven't seen it.

Sunday, January 01, 2006

2006 Resolutions!!!!!!!!!!

Well it's 2006 now, so I guess I should make a resolution right? Hmmmm.....gotta make it good and unique.

Okay, My resolution is to smack each and every one of my so-called friends in the face, when they are least expecting it. Why do such a thing? Well, I'm sure at some point in our friendship they have done something to deserve it, and I was just too much of a gentleman to take the appropriate action.